Give back the block underneath verbatim.

A molecular structure, CH2CeF3NO3S. Source: the OMol25 dataset; level of theory: ωB97M-V/def2-TZVPD.

Summary:
* 2S+1: 3
* gap between HOMO and LUMO (alpha / beta): 5.46 / 6.68 eV
* E_HOMO (alpha / beta): -0.242 / -0.299 Eh
* net charge: 0
* E_LUMO (alpha / beta): -1.13 / -1.45 eV

XYZ file:
```
12
Properties=species:S:1:pos:R:3:forces:R:3:lowdin_spin:R:1
Ce -1.4320 -1.9442 1.2817 1.5 1.4 -3.0 1.9249
N 0.4741 -1.4676 -0.4190 -1.3 -0.3 1.3 -0.0022
S -0.3164 -0.5151 -1.2718 -0.4 -0.2 -1.8 0.0124
O -0.4105 -0.6628 -2.7490 0.1 0.1 2.6 -0.0012
O -1.6904 -0.2317 -0.6416 0.1 -0.7 0.6 0.0121
C 0.4329 1.2040 -1.1737 -0.2 -0.6 -0.4 0.0012
F 1.6576 1.2006 -1.7039 0.1 0.0 0.0 0.0001
F 0.5483 1.6041 0.1011 0.0 0.1 0.6 0.0012
F -0.2926 2.1177 -1.8183 -0.1 0.0 0.0 0.0003
O 0.1438 -0.6861 2.6704 1.1 0.3 -1.1 0.0400
H -0.0009 -0.3962 3.5752 0.6 0.5 -0.1 0.0095
H 0.8859 -0.2225 2.1489 -1.5 -0.7 1.3 0.0018
```
Positions in Å, forces in eV/Å.

=====

No. 1
ORCA calculation (wB97M-V/def2-TZVPD) on a molecular structure, C34H31AsIrN2S2.

```
71
C34H31AsIrN2S2 | OMol25 | wB97M-V/def2-TZVPD
Ir 0.85 0.49 -0.33
C 3.60 1.88 -0.43
N 2.90 0.79 0.33
C 3.64 -0.47 0.12
C 2.72 -1.64 0.32
N 1.67 -1.54 -0.74
C 0.66 -2.62 -0.58
C 2.24 -1.66 -2.09
C 2.97 -2.76 -2.49
C 3.40 -2.84 -3.82
C 3.10 -1.84 -4.74
C 2.38 -0.73 -4.33
C 1.96 -0.64 -2.99
S 1.12 0.74 -2.46
C 2.80 1.22 1.74
C 3.71 0.91 2.73
C 3.57 1.49 3.98
C 2.54 2.38 4.23
C 1.61 2.68 3.23
C 1.75 2.09 1.99
S 0.54 2.42 0.71
H 4.64 1.94 -0.09
H 3.11 2.83 -0.23
H 3.56 1.66 -1.49
H 4.52 -0.54 0.75
H 3.99 -0.46 -0.91
H 2.22 -1.61 1.29
H 3.27 -2.59 0.26
H 1.11 -3.60 -0.77
H -0.15 -2.47 -1.28
H 0.30 -2.58 0.44
H 3.20 -3.56 -1.81
H 3.96 -3.71 -4.13
H 3.42 -1.93 -5.77
H 2.15 0.07 -5.03
H 4.53 0.23 2.56
H 4.28 1.26 4.76
H 2.44 2.85 5.20
H 0.79 3.36 3.41
C -5.05 -0.56 -3.52
C -5.04 -1.33 -2.36
C -3.98 -1.22 -1.46
C -2.97 -0.31 -1.74
C -2.96 0.45 -2.91
C -4.02 0.32 -3.79
As -1.61 -0.01 -0.43
C -2.34 1.60 0.39
C -2.55 2.82 -0.22
C -3.03 3.88 0.55
C -3.28 3.69 1.90
C -3.08 2.46 2.50
C -2.61 1.39 1.73
C -2.43 0.00 2.20
C -2.72 -0.45 3.48
C -2.65 -1.81 3.77
C -2.32 -2.73 2.78
C -2.01 -2.29 1.50
C -2.04 -0.92 1.22
H -5.88 -0.66 -4.21
H -5.84 -2.02 -2.15
H -3.98 -1.80 -0.55
H -2.15 1.14 -3.12
H -4.04 0.92 -4.69
H -2.33 2.97 -1.27
H -3.20 4.84 0.09
H -3.65 4.52 2.49
H -3.31 2.32 3.55
H -3.02 0.24 4.25
H -2.89 -2.15 4.76
H -2.31 -3.79 3.00
H -1.78 -3.01 0.73
```

Properties
- calculated total energy (a.u.) = -4559.70200
- expectation value of S² = 0.769
- net charge = +2
- multiplicity = 2
- relative energy (zero: lowest compared OMol25 entry of this formula, charge and spin) (kJ/mol) = 106.9
- orbital gap (spin up / spin down) (eV) = 6.05 / 4.67
- molecular weight (g mol⁻¹) = 798.91

No. 2
ORCA calculation (wB97M-V/def2-TZVPD) on a molecular structure, C34H31Br2N5O3Rb.

```
76
C34H31Br2N5O3Rb | OMol25 | wB97M-V/def2-TZVPD
Rb -0.02 0.19 0.34
C 1.74 -2.68 1.07
C 0.69 -3.75 0.92
C 1.04 -5.03 0.52
C 0.09 -6.04 0.42
C -1.23 -5.74 0.70
C -1.62 -4.46 1.10
C -3.07 -4.16 1.33
C -0.65 -3.45 1.25
N -0.98 -2.15 1.62
C -1.52 -1.97 2.82
O -1.66 -2.83 3.71
C -2.00 -0.56 3.16
C -2.81 -0.46 4.30
C -3.28 0.78 4.68
C -2.93 1.88 3.93
C -2.13 1.71 2.81
N -1.67 0.51 2.43
C -1.81 2.98 2.02
O -2.43 4.01 2.35
N -0.89 2.88 1.07
C -0.55 4.07 0.41
C 0.08 5.14 1.08
C 0.31 5.07 2.57
C 0.47 6.27 0.36
C 0.26 6.37 -1.00
C -0.35 5.31 -1.66
C -0.75 4.17 -0.98
C -1.42 3.03 -1.71
H 2.74 -3.09 0.87
H 1.57 -1.86 0.37
H 1.72 -2.27 2.08
H 2.08 -5.25 0.29
H 0.38 -7.04 0.11
H -1.99 -6.51 0.60
H -3.71 -4.96 0.93
H -3.27 -4.05 2.40
H -3.35 -3.21 0.86
H -3.02 -1.37 4.84
H -3.91 0.88 5.56
H -3.27 2.88 4.16
H 0.54 4.05 2.87
H 1.12 5.74 2.87
H -0.60 5.36 3.10
H 0.94 7.09 0.89
H 0.56 7.25 -1.55
H -0.52 5.37 -2.73
H -1.64 3.31 -2.74
H -0.78 2.15 -1.73
H -2.34 2.74 -1.21
Br 4.67 -0.19 -5.92
C 3.61 -0.29 -4.35
C 3.76 0.67 -3.36
C 2.94 0.55 -2.24
N 2.05 -0.42 -2.09
C 1.92 -1.34 -3.05
C 2.68 -1.30 -4.21
C 0.90 -2.40 -2.84
C 1.12 -3.68 -3.33
C 0.12 -4.62 -3.14
Br 0.37 -6.38 -3.79

A molecular structure, CH2CeF3NO3S. Source: the OMol25 dataset; level of theory: ωB97M-V/def2-TZVPD.

Summary:
* 2S+1: 3
* gap between HOMO and LUMO (alpha / beta): 5.46 / 6.68 eV
* E_HOMO (alpha / beta): -0.242 / -0.299 Eh
* net charge: 0
* E_LUMO (alpha / beta): -1.13 / -1.45 eV

XYZ file:
```
12
Properties=species:S:1:pos:R:3:forces:R:3:lowdin_spin:R:1
Ce -1.4320 -1.9442 1.2817 1.5 1.4 -3.0 1.9249
N 0.4741 -1.4676 -0.4190 -1.3 -0.3 1.3 -0.0022
S -0.3164 -0.5151 -1.2718 -0.4 -0.2 -1.8 0.0124
O -0.4105 -0.6628 -2.7490 0.1 0.1 2.6 -0.0012
O -1.6904 -0.2317 -0.6416 0.1 -0.7 0.6 0.0121
C 0.4329 1.2040 -1.1737 -0.2 -0.6 -0.4 0.0012
F 1.6576 1.2006 -1.7039 0.1 0.0 0.0 0.0001
F 0.5483 1.6041 0.1011 0.0 0.1 0.6 0.0012
F -0.2926 2.1177 -1.8183 -0.1 0.0 0.0 0.0003
O 0.1438 -0.6861 2.6704 1.1 0.3 -1.1 0.0400
H -0.0009 -0.3962 3.5752 0.6 0.5 -0.1 0.0095
H 0.8859 -0.2225 2.1489 -1.5 -0.7 1.3 0.0018
```
Positions in Å, forces in eV/Å.

=====

No. 1
ORCA calculation (wB97M-V/def2-TZVPD) on a molecular structure, C34H31AsIrN2S2.

```
71
C34H31AsIrN2S2 | OMol25 | wB97M-V/def2-TZVPD
Ir 0.85 0.49 -0.33
C 3.60 1.88 -0.43
N 2.90 0.79 0.33
C 3.64 -0.47 0.12
C 2.72 -1.64 0.32
N 1.67 -1.54 -0.74
C 0.66 -2.62 -0.58
C 2.24 -1.66 -2.09
C 2.97 -2.76 -2.49
C 3.40 -2.84 -3.82
C 3.10 -1.84 -4.74
C 2.38 -0.73 -4.33
C 1.96 -0.64 -2.99
S 1.12 0.74 -2.46
C 2.80 1.22 1.74
C 3.71 0.91 2.73
C 3.57 1.49 3.98
C 2.54 2.38 4.23
C 1.61 2.68 3.23
C 1.75 2.09 1.99
S 0.54 2.42 0.71
H 4.64 1.94 -0.09
H 3.11 2.83 -0.23
H 3.56 1.66 -1.49
H 4.52 -0.54 0.75
H 3.99 -0.46 -0.91
H 2.22 -1.61 1.29
H 3.27 -2.59 0.26
H 1.11 -3.60 -0.77
H -0.15 -2.47 -1.28
H 0.30 -2.58 0.44
H 3.20 -3.56 -1.81
H 3.96 -3.71 -4.13
H 3.42 -1.93 -5.77
H 2.15 0.07 -5.03
H 4.53 0.23 2.56
H 4.28 1.26 4.76
H 2.44 2.85 5.20
H 0.79 3.36 3.41
C -5.05 -0.56 -3.52
C -5.04 -1.33 -2.36
C -3.98 -1.22 -1.46
C -2.97 -0.31 -1.74
C -2.96 0.45 -2.91
C -4.02 0.32 -3.79
As -1.61 -0.01 -0.43
C -2.34 1.60 0.39
C -2.55 2.82 -0.22
C -3.03 3.88 0.55
C -3.28 3.69 1.90
C -3.08 2.46 2.50
C -2.61 1.39 1.73
C -2.43 0.00 2.20
C -2.72 -0.45 3.48
C -2.65 -1.81 3.77
C -2.32 -2.73 2.78
C -2.01 -2.29 1.50
C -2.04 -0.92 1.22
H -5.88 -0.66 -4.21
H -5.84 -2.02 -2.15
H -3.98 -1.80 -0.55
H -2.15 1.14 -3.12
H -4.04 0.92 -4.69
H -2.33 2.97 -1.27
H -3.20 4.84 0.09
H -3.65 4.52 2.49
H -3.31 2.32 3.55
H -3.02 0.24 4.25
H -2.89 -2.15 4.76
H -2.31 -3.79 3.00
H -1.78 -3.01 0.73
```

Properties
- calculated total energy (a.u.) = -4559.70200
- expectation value of S² = 0.769
- net charge = +2
- multiplicity = 2
- relative energy (zero: lowest compared OMol25 entry of this formula, charge and spin) (kJ/mol) = 106.9
- orbital gap (spin up / spin down) (eV) = 6.05 / 4.67
- molecular weight (g mol⁻¹) = 798.91

No. 2
ORCA calculation (wB97M-V/def2-TZVPD) on a molecular structure, C34H31Br2N5O3Rb.

```
76
C34H31Br2N5O3Rb | OMol25 | wB97M-V/def2-TZVPD
Rb -0.02 0.19 0.34
C 1.74 -2.68 1.07
C 0.69 -3.75 0.92
C 1.04 -5.03 0.52
C 0.09 -6.04 0.42
C -1.23 -5.74 0.70
C -1.62 -4.46 1.10
C -3.07 -4.16 1.33
C -0.65 -3.45 1.25
N -0.98 -2.15 1.62
C -1.52 -1.97 2.82
O -1.66 -2.83 3.71
C -2.00 -0.56 3.16
C -2.81 -0.46 4.30
C -3.28 0.78 4.68
C -2.93 1.88 3.93
C -2.13 1.71 2.81
N -1.67 0.51 2.43
C -1.81 2.98 2.02
O -2.43 4.01 2.35
N -0.89 2.88 1.07
C -0.55 4.07 0.41
C 0.08 5.14 1.08
C 0.31 5.07 2.57
C 0.47 6.27 0.36
C 0.26 6.37 -1.00
C -0.35 5.31 -1.66
C -0.75 4.17 -0.98
C -1.42 3.03 -1.71
H 2.74 -3.09 0.87
H 1.57 -1.86 0.37
H 1.72 -2.27 2.08
H 2.08 -5.25 0.29
H 0.38 -7.04 0.11
H -1.99 -6.51 0.60
H -3.71 -4.96 0.93
H -3.27 -4.05 2.40
H -3.35 -3.21 0.86
H -3.02 -1.37 4.84
H -3.91 0.88 5.56
H -3.27 2.88 4.16
H 0.54 4.05 2.87
H 1.12 5.74 2.87
H -0.60 5.36 3.10
H 0.94 7.09 0.89
H 0.56 7.25 -1.55
H -0.52 5.37 -2.73
H -1.64 3.31 -2.74
H -0.78 2.15 -1.73
H -2.34 2.74 -1.21
Br 4.67 -0.19 -5.92
C 3.61 -0.29 -4.35
C 3.76 0.67 -3.36
C 2.94 0.55 -2.24
N 2.05 -0.42 -2.09
C 1.92 -1.34 -3.05
C 2.68 -1.30 -4.21
C 0.90 -2.40 -2.84
C 1.12 -3.68 -3.33
C 0.12 -4.62 -3.14
Br 0.37 -6.38 -3.79